Thursday, December 12, 2013

Poetry as Family History

This post was originally published at The Master’s Artist.

Founded by Hudson Taylor in 1865, the China Inland Mission played a major role in Christian missions to that country from 1866 to 1949, when the Chinese communists defeated the Nationalists and took control. All foreign missionaries were expelled.

The history of the China Inland Mission (today called the Overseas Missionary Fellowship) overlaps the period of almost a century of turmoil and upheaval in China – the decline and eventual overthrow of the emperor, the Boxer Rebellion, the presidency of Sun Yat-Sen, the period of the warlords and the rise of the communists, the Japanese invasion in the mid-1930s and the forces of Mao driving the forces of Chiang Kai-shek to what it now Taiwan. The missions had an impact; even today, house churches exist in China in the face of official government opposition, persecution and often imprisonment.

The story of the mission has been told in memoirs, biographies, histories and novels. Last year, author Bo Caldwell published City of Tranquil Light, a wonderful novel based on the story of her missionary grandparents in rural China in the 1920s and 1930s (I reviewed the novel last December). D.S. Martin, a writer and poet in Ontario, has also told the story of his grandparents, who were in China at about the same time as Caldwell’s but remained until expelled by the communists.

The difference is that Martin has told his story in poetry. And it is a close personal story, in that Martin’s mother was an infant when she accompanied her parents to China and grew up in the country.

So the Moon Would Not Be Swallowed is a collection of 16 poems based upon letters to and from his grandparents and relatives, as well as research on the mission itself. And what Martin demonstrates is that poetry can serve, and serve well, as family history, providing a depth, texture and understanding beyond a traditional family biography or history.

Martin’s grandparents, Ernest and Marian Davis, arrive in China in 1923 and settle in Honan Province. This is the time of roving armies and warlords; security becomes a daily thing to be considered and planned for. From “Darkening Landscape:”

From the open plain to our east soldiers
have driven the brigands across the rail line
& up into the shadowy hills we can see to the west
Up there somewhere
Are the missionaries taken five weeks ago

The poem reads like a letter home, describing their home and the city of Yencheng where they live, across the river from barley fields that “stretch to the horizon.” China in 1923 is largely an agricultural economy.

War and civil unrest continue and then abate for a time. Another report home is the poem “Good Housekeeping:”

Finally war is over
Trains are running
Mail’s coming through…

But there’s much teaching to do
& walks are taboo The beach is horrible
With blood and memory of war

The beheaded & shot were buried in sand
But dogs will be dogs
In China as elsewhere

These few simple lines convey both relief and the horror of what’s happened. You know exactly what the dogs are doing without it having to be overtly stated.

The poems remind everyone that the Davis family is a family of foreigners, and foreigners are often a target of blackmail or brutality by bandits and troops. Another poem describes how close to death they often are: “They lined us up / I took a deep breath hit the floor / & rolled under a bed / lying for two nights beneath the robber-chief’s breathing…”

[Next to the article, the page also holds calculated crystals]
{"formula": "Ta6Pb4O19", "functional": "PBE", "state": "optimized geometry", "lattice_angstrom": [[-3.759, 11.292, 5.327], [3.759, -11.292, 5.327], [3.759, 11.292, -5.327]], "species": ["Ta", "Ta", "Ta", "Ta", "Ta", "Ta", "Ta", "Ta", "Ta", "Ta", "Ta", "Ta", "Pb", "Pb", "Pb", "Pb", "Pb", "Pb", "Pb", "Pb", "O", "O", "O", "O", "O", "O", "O", "O", "O", "O", "O", "O", "O", "O", "O", "O", "O", "O", "O", "O", "O", "O", "O", "O", "O", "O", "O", "O", "O", "O", "O", "O", "O", "O", "O", "O", "O", "O"], "fractional_positions": [[0.000, 0.000, 0.000], [0.168, 0.000, 0.668], [0.168, 0.003, 0.165], [0.168, 0.500, 0.168], [0.338, 0.003, 0.335], [0.500, 0.000, 0.000], [0.500, 0.000, 0.500], [0.500, 0.500, 0.500], [0.662, 0.997, 0.665], [0.832, 0.000, 0.332], [0.832, 0.500, 0.832], [0.832, 0.997, 0.835], [0.000, 0.000, 0.500], [0.000, 0.500, 0.000], [0.000, 0.500, 0.500], [0.182, 0.516, 0.666], [0.350, 0.516, 0.834], [0.500, 0.500, 0.000], [0.650, 0.484, 0.166], [0.818, 0.484, 0.334], [0.020, 0.065, 0.338], [0.020, 0.682, 0.955], [0.100, 0.316, 0.174], [0.100, 0.926, 0.783], [0.104, 0.685, 0.419], [0.139, 0.055, 0.084], [0.158, 0.408, 0.750], [0.181, 0.931, 0.250], [0.227, 0.065, 0.545], [0.227, 0.682, 0.162], [0.234, 0.315, 0.919], [0.311, 0.313, 0.379], [0.311, 0.932, 0.998], [0.358, 0.074, 0.674], [0.358, 0.684, 0.283], [0.434, 0.313, 0.502], [0.434, 0.932, 0.121], [0.435, 0.685, 0.750], [0.471, 0.055, 0.416], [0.529, 0.945, 0.584], [0.565, 0.315, 0.250], [0.566, 0.068, 0.879], [0.566, 0.687, 0.498], [0.642, 0.316, 0.717], [0.642, 0.926, 0.326], [0.689, 0.068, 0.002], [0.689, 0.687, 0.621], [0.766, 0.685, 0.081], [0.773, 0.318, 0.838], [0.773, 0.935, 0.455], [0.819, 0.069, 0.750], [0.842, 0.592, 0.250], [0.861, 0.945, 0.916], [0.896, 0.315, 0.581], [0.900, 0.074, 0.217], [0.900, 0.684, 0.826], [0.980, 0.318, 0.045], [0.980, 0.935, 0.662]], "magmom_total_mub_per_fu": 0.0, "e_tot_ev_per_atom": -8.65, "vol_a3_per_atom": 15.60, "formation_energy_ev_per_fu": -84.01}

* * * * *

Record 1
Material: MgSiO3
Method: DFT, PBE
State: relaxed

Values from the calculation:
ρ (Mg/m³): 3.41
E (eV/cell): -282.922

Lattice parameters (Å, degrees): 8.483 4.913 9.484 81.79 90.00 90.00
Sites, in units of the cell vectors:
O1 0.807 0.846 0.897
O2 0.316 0.146 0.397
Mg1 0.159 0.591 0.730
O3 0.687 0.651 0.115
Mg2 0.470 0.424 0.223
Si1 0.657 0.191 0.551
O4 0.187 0.849 0.885
Si2 0.157 0.309 0.449
O5 0.849 0.732 0.376
O6 0.307 0.654 0.103
O7 0.813 0.151 0.115
Mg3 0.341 0.091 0.730
O8 0.816 0.354 0.603
Mg4 0.970 0.076 0.777
O9 0.193 0.154 0.103
Mg5 0.659 0.909 0.270
O10 0.014 0.201 0.364
Si3 0.666 0.012 0.990
Si4 0.843 0.691 0.551
O11 0.651 0.232 0.376
O12 0.514 0.299 0.636
O13 0.996 0.595 0.106
O14 0.496 0.905 0.894
Si5 0.834 0.512 0.990
O15 0.349 0.768 0.624
O16 0.004 0.405 0.894
Si6 0.166 0.488 0.010
Si7 0.334 0.988 0.010
O17 0.184 0.646 0.397
O18 0.986 0.799 0.636
O19 0.313 0.349 0.885
O20 0.486 0.701 0.364
Mg6 0.030 0.924 0.223
Mg7 0.841 0.409 0.270
O21 0.684 0.854 0.603

“Evacuation” describes their required move to Hankow for their safety in 1927, followed by poems which describe letters home about everything except the evacuation. The Davises experience the Japanese invasion, and later are separated for a time. The chaos continues after the Japanese defeat. And the last poem, “The Weather is Changing,” uses weather to describe the change in government, and what will be the end of their time in China.

Martin has honored his grandparents with these poems, telling the story of young couple committed to serving God regardless of the personal consequences.


Martin blogs at Kingdom Poets.

Illustration by Fran Hogan via Public Domain Pictures. Used with permission.

1 comment:

  1. Thank you for this interesting introduction to Martin's poems. What an extraordinary experience Martin had.
